Feeling “In-Between”
What is truly the new normal.
Most Americans and most people are around the world are under some kind of state-mandated quarantine due to the COVID-19 epidemic, the economic ramifications of this all-around pandemic are not being assessed through a multi-faceted lenses.
Through channels like CNN, we get a grim (maybe slightly arranged) and dire picture of the deaths and bodies piling up from this more severe version of the flu.
I’m not going to speculate on the ins and outs of the composition of this virus, and how dangerous and deadly it really is. I’m not a doctor, so I’m absolutely out of my league. But…
Just from looking at the ratio of people infected, the “rate of transition” to the rate of deaths, we’re not even getting remotely closer to Armageddon like what happened with the Black Plague.
The numbers might be over or under-inflated, but from my eyes, something just isn’t adding up from what we’re being told by the so-called “experts”.
Obviously there’s going to be a recession.
_Attached: crystal structures_
=====
VASP calculation (GGA-PBE) on an optimized crystal structure of Ca4Mg3.

Cell: 6.3466 6.3466 6.6663 Å, 90.00 90.00 120.00°
Space group P6/mmm (No. 191)
Asymmetric unit:
Ca: 0.0000 0.0000 0.2455 [2 per cell]
Ca: 0.3333 0.6667 0.5000 [2 per cell]
Mg: 0.0000 0.5000 0.0000 [3 per cell]

Calculated values
Energy above the most stable polymorph in this dataset (eV per formula unit): 0.16


VASP calculation (GGA-PBE) on an optimized crystal structure of Ca5Mg24.

Cell: 11.435 11.435 11.435 Å, 90.00 90.00 90.00°
Space group I-43m (No. 217)
Asymmetric unit:
Ca: 0.000 0.000 0.000 [2 per cell]
Ca: 0.186 0.186 0.186 [8 per cell]
Mg: 0.033 0.358 0.642 [24 per cell]
Mg: 0.091 0.091 0.717 [24 per cell]

Calculated values
E_tot (eV per atom): -1.704


VASP calculation (GGA-PBE) on an optimized crystal structure of Ca4Mg.

Cell: 4.600 4.600 19.392 Å, 90.00 90.00 90.00°
Space group I4/mmm (No. 139)
Asymmetric unit:
Ca: 0.000 0.000 0.091 [4 per cell]
Ca: 0.000 0.500 0.250 [4 per cell]
Mg: 0.000 0.000 0.500 [2 per cell]

Calculated values
Energy above the most stable polymorph in this dataset (eV per formula unit): 1.51


VASP calculation (GGA-PBE) on an optimized crystal structure of CaMg12.

Cell: 10.329 10.329 5.995 Å, 90.00 90.00 90.00°
Space group I4/mmm (No. 139)
Asymmetric unit:
Ca: 0.000 0.000 0.000 [2 per cell]
Mg: 0.000 0.215 0.500 [8 per cell]
Mg: 0.000 0.352 0.000 [8 per cell]
Mg: 0.250 0.250 0.250 [8 per cell]

Calculated values
E_tot (eV per atom): -1.643


VASP calculation (GGA-PBE) on an optimized crystal structure of Ca7Mg6.

Cell: 6.9694 6.9694 32.9244 Å, 90.00 90.00 120.00°
Space group R-3m (No. 166, hexagonal axes)
Asymmetric unit:
Ca: 0.0000 0.0000 0.0000 [3 per cell]
Ca: 0.0057 0.5028 0.4178 [18 per cell]
Mg: 0.0000 0.0000 0.1665 [6 per cell]
Mg: 0.0000 0.0000 0.3521 [6 per cell]
Mg: 0.0000 0.0000 0.4531 [6 per cell]

Calculated values
E_tot (eV per atom): -1.589


VASP calculation (GGA-PBE) on an optimized crystal structure of CaMg5.

Cell: 5.7329 5.7329 16.3392 Å, 90.00 90.00 120.00°
Space group R32 (No. 155, hexagonal axes)
Asymmetric unit:
Ca: 0.0000 0.0000 0.0000 [3 per cell]
Mg: 0.0000 0.0000 0.3329 [6 per cell]
Mg: 0.0000 0.6754 0.5000 [9 per cell]

Calculated values
E_tot (eV per atom): -1.651


VASP calculation (GGA-PBE) on an optimized crystal structure of Ca5Mg.

Cell: 3.8452 3.8452 18.3436 Å, 90.00 90.00 120.00°
Space group P-6m2 (No. 187)
Asymmetric unit:
Ca: 0.0000 0.0000 0.0000 [1 per cell]
Ca: 0.0000 0.0000 0.3529 [2 per cell]
Ca: 0.3333 0.6667 0.1766 [2 per cell]
Mg: 0.3333 0.6667 0.5000 [1 per cell]

Calculated values
Energy above the most stable polymorph in this dataset (eV per formula unit): 0.28


VASP calculation (GGA-PBE) on an optimized crystal structure of Ca5Mg.

Cell: 6.5564 6.5564 6.1556 Å, 90.00 90.00 120.00°
Space group P-62m (No. 189)
Asymmetric unit:
Ca: 0.0000 0.6779 0.0000 [3 per cell]
Ca: 0.3333 0.6667 0.5000 [2 per cell]
Mg: 0.0000 0.0000 0.5000 [1 per cell]

Calculated values
=====
8.7 million jobs reportedly were lost during the horrific Great Depression, literally a century ago in the same decade. Over this past month that the quarantine has been enforced in the United States, 22 million, and probably more Americans have filed for unemployment.
For as much as we should generally trust the medical establishment and health experts with their professional insight and unified concern in the COVID-19 from a biological standpoint, it can’t be ignored how people’s everyday lives have been up-ended and thrown into a ravaging tornado.
It’s not just people in the labor force. Kids who are students in K-12 or in college currently have had their school years abruptly ended. For those in college, they don’t know even know if their respective universities will give them much-needed and earned refunds because the school year has been cancelled for good.
My heart goes out to the Class of 2020, whether they’re finishing up high school or college. Graduation is a momentous (and sad) time where you celebrate and be relieved that the hard, grueling work you put in studying, going to class and taking tests the last two to four years has finally paid off. Some of the friends they’ve made during that time will be with them even beyond these precious years.
For most people, it’s one of the most fulfilling and rewarding experiences they’ll have in their entire lives. And now, that experience has been ripped right out of their hands. The Class of 2020 will have an virtual graduation ceremony that can’t compare to the real thing, or even worse, a diploma mailed to them.
But widening the scope, what worries me the most are people like myself and my family that are “in-between” economically.
I’m a only child, but nonetheless over the course of my life I’ve been exposed to an unusual and uncommon blend of hardship and struggle.
Me and my parents have bared the burden of poverty, and have also been weakened, softened and stymied by the beguiling illusion of middle-class comfort.
I’ve known what it’s been like to have days here and there, where I ate only one meal or less than the equivalent of so because that’s all the food that was available at home, and my parents had to wait for their next paycheck to come in.
My mom never told me, but we were on the brink of being evicted from our rent-controlled apartment several times when I was younger. I had the feeling that such was the case, but I was too young to know any better.
Still, with enough time to save up enough money, my parents could afford me Christmas presents, a Wii, a PS Vita and in high school, a simple allowance.
Combined, both of my parents make over a hundred-thousand dollars annually (not sure if that’s before or after taxes.) But they’re straddled with debt (student loans, credit cards, etc.) like any other average American.
They have money to pay their bills on time, buy groceries, and have some decent kind of emergency savings. But they can’t do much else. Or more.
One too many wants or luxury desires puts my parents’ finance in a bind. They don’t stress about it too much. But they revert to that tried-and-tested middle-class, working-class mentality that over-emphasizes “security and safety.”
The larger point I’m making here is that arguably more than anything, this virus has exposed once and for all how in 21st century America (and maybe the whole world), the middle class is dead.
The term “middle class” is euphemistic; it’s a placeholder for a more accurate and bleak term like “in-between”. You’re rich but you’re not poor. You don’t need to ask for handouts, except in the case of the ceiling falling down into the basement (which has literally happened.)
If you’re a small-business owner right now, you’re slipping, not walking on really thin ice.
Now, in the current economic system, there are simply haves, have-nots and in-betweens. If you’re in-between, you’re invisible and expendable. At least with the middle class back a couple of decades, there was modest hope and optimism at the chance of upward mobility being possible.
Although the virus is no laughing joke, and people in general should be respecting social distancing guidelines, it is disheartening to see how many basic and “inalienable” freedoms and rights are being trampled on in the name of security and the greater well-being.
Hotly circulating conspiracy theories like 5G’s role in this epidemic, and whether this whole catastrophe is one elaborate diversion to hide more sinister plans are interesting to read and delve in, but they take attention from the up-front and tangible consequences this pandemic creates.
_Someone pasted records of crystals at this point_
____________
! BaMgIr, relaxed, DFT PBE; values from VASP
&SYSTEM
  ibrav = 0, nat = 3, ntyp = 3
/
ATOMIC_SPECIES
Ba 137.33 Ba.upf
Mg 24.30 Mg.upf
Ir 192.22 Ir.upf
CELL_PARAMETERS angstrom
0.000 3.611 3.611
3.611 0.000 3.611
3.611 3.611 0.000
ATOMIC_POSITIONS crystal
Ba 0.000 0.000 0.000
Mg 0.250 0.250 0.250
Ir 0.750 0.750 0.750
! DFT formation energy = 0.92 eV/atom
! total magnetization = 0.0 μB per formula unit
! E = -3.2034 eV/atom



! LaRe2P, relaxed, DFT PBE; values from VASP
&SYSTEM
  ibrav = 0, nat = 4, ntyp = 3
/
ATOMIC_SPECIES
La 138.91 La.upf
Re 186.21 Re.upf
P 30.97 P.upf
CELL_PARAMETERS angstrom
3.014 0.000 0.000
0.000 3.014 0.000
0.000 0.000 7.823
ATOMIC_POSITIONS crystal
La 0.000 0.000 0.000
Re 0.500 0.500 0.330
Re 0.500 0.500 0.670
P 0.000 0.000 0.500
! DFT formation energy = 0.27 eV/atom
! total magnetization = 0.0 μB per formula unit
! E = -8.5406 eV/atom



! K2LaTmO4, relaxed, DFT PBE; values from VASP
&SYSTEM
  ibrav = 0, nat = 8, ntyp = 4
/
ATOMIC_SPECIES
K 39.10 K.upf
La 138.91 La.upf
Tm 168.93 Tm.upf
O 16.00 O.upf
CELL_PARAMETERS angstrom
6.202 0.000 0.000
0.000 3.572 0.000
-2.067 0.000 6.269
ATOMIC_POSITIONS crystal
K 0.000 0.000 0.000
K 0.500 0.500 0.000
La 0.000 0.500 0.500
Tm 0.500 0.000 0.500
O 0.247 0.000 0.688
O 0.285 0.500 0.315
O 0.715 0.500 0.685
O 0.753 0.000 0.312
! total magnetization = 0.0 μB per formula unit
! formation energy (no corrections) = -2.717 eV/atom
! E = -6.6451 eV/atom



! KB3O, relaxed, DFT PBE; values from VASP
&SYSTEM
  ibrav = 0, nat = 5, ntyp = 3
/
ATOMIC_SPECIES
K 39.10 K.upf
B 10.81 B.upf
O 16.00 O.upf
CELL_PARAMETERS angstrom
5.164 0.000 0.000
0.000 5.164 0.000
0.000 0.000 5.164
ATOMIC_POSITIONS crystal
K 0.000 0.000 0.000
B 0.000 0.000 0.500
B 0.000 0.500 0.000
B 0.500 0.000 0.000
O 0.500 0.500 0.500
! total magnetization = 0.0 μB per formula unit
! formation energy (no corrections) = 3.694 eV/atom
! E = -1.5234 eV/atom



! In2TeIr, relaxed, DFT PBE; values from VASP
&SYSTEM
  ibrav = 0, nat = 4, ntyp = 3
/
ATOMIC_SPECIES
In 114.82 In.upf
Te 127.60 Te.upf
Ir 192.22 Ir.upf
CELL_PARAMETERS angstrom
-2.237 2.237 4.310
2.237 -2.237 4.310
2.237 2.237 -4.310
ATOMIC_POSITIONS crystal
In 0.250 0.750 0.500
In 0.750 0.250 0.500
Te 0.000 0.000 0.000
Ir 0.500 0.500 0.000
! total magnetization = 0.0 μB per formula unit
! formation energy (no corrections) = 0.358 eV/atom
! E = -4.0115 eV/atom



! NdCu2Pd10, relaxed, DFT PBE; values from VASP
&SYSTEM
  ibrav = 0, nat = 13, ntyp = 3
/
ATOMIC_SPECIES
Nd 144.24 Nd.upf
Cu 63.55 Cu.upf
Pd 106.42 Pd.upf
CELL_PARAMETERS angstrom
0.000 6.405 6.406
2.588 0.000 6.406
2.588 6.405 0.000
ATOMIC_POSITIONS crystal
Nd 0.000 0.000 0.000
Cu 0.000 0.500 0.000
Cu 0.500 0.000 0.500
Pd 0.000 0.000 0.500
Pd 0.009 0.349 0.651
Pd 0.282 0.495 0.505
Pd 0.349 0.009 0.991
Pd 0.495 0.282 0.718
Pd 0.500 0.500 0.000
Pd 0.505 0.718 0.282
Pd 0.651 0.991 0.009
Pd 0.718 0.505 0.495
Pd 0.991 0.651 0.349
! DFT formation energy = -0.26 eV/atom
! total magnetization = 0.0 μB per formula unit
____________
A lot of people are already dying. But there will be lots of “hidden deaths” due to the immense amount of stress and strain caused by being isolated and trapped at home, even if with loved ones.
Married couples that normally spend only a fraction of the day around one another, and their children now are stuck with each other for the foreseeable future. Divorce rates are predicted to skyrocket during these quarantine, and divorce lawyers are going to have plenty of invoices to handle.
Someone pasted materials data at this point:
┌──
TmTlSi: relaxed, GGA-PBE.

Summary:
The value obtained for the spin magnetization is 0.0001 μB per atom. As for the energy above the most stable polymorph in this dataset: 0.0428 eV per atom.

```
TmTlSi
1.0
0.000 3.449 3.449
3.449 0.000 3.449
3.449 3.449 0.000
Tm Tl Si
1 1 1
Direct
0.000 0.000 0.000
0.250 0.250 0.250
0.750 0.750 0.750
```

***

TmTlSi: relaxed, GGA-PBE.

Summary:
The value obtained for the spin magnetization is 0.0010 μB per atom. As for the energy above the most stable polymorph in this dataset: 0.0000 eV per atom.

```
TmTlSi
1.0
0.000 3.384 3.384
3.384 0.000 3.384
3.384 3.384 0.000
Tm Tl Si
1 1 1
Direct
0.000 0.000 0.000
0.500 0.500 0.500
0.750 0.750 0.750
```

***

TlSi5W3: relaxed, GGA-PBE.

Summary:
The value obtained for the spin magnetization is 0.0002 μB per atom.

```
TlSi5W3
1.0
5.453 0.000 0.000
-2.726 4.722 0.000
0.000 0.000 6.375
Tl Si W
1 5 3
Direct
0.000 0.000 0.000
0.000 0.000 0.500
0.333 0.667 0.184
0.333 0.667 0.816
0.667 0.333 0.184
0.667 0.333 0.816
0.000 0.500 0.500
0.500 0.000 0.500
0.500 0.500 0.500
```

***

Tl2Zn2Si3: relaxed, GGA-PBE.

```
Tl2Zn2Si3
1.0
2.156 1.245 8.901
-2.156 1.245 8.901
0.000 -2.489 8.901
Tl Zn Si
2 2 3
Direct
0.000 0.000 0.000
0.446 0.446 0.446
0.166 0.166 0.166
0.725 0.725 0.725
0.264 0.264 0.264
0.576 0.576 0.576
0.872 0.872 0.872
```

***

ZrTlSi: relaxed, GGA-PBE.

Summary:
The value obtained for the spin magnetization is 0.1744 μB per atom. As for the energy above the most stable polymorph in this dataset: 0.0000 eV per atom.

```
ZrTlSi
1.0
0.000 3.252 3.252
3.252 0.000 3.252
3.252 3.252 0.000
Zr Tl Si
1 1 1
Direct
0.000 0.000 0.000
0.500 0.500 0.500
0.750 0.750 0.750
```

***

Zr3TlSi5: relaxed, GGA-PBE.

Summary:
The value obtained for the spin magnetization is 0.0004 μB per atom.

```
Zr3TlSi5
1.0
5.883 0.000 0.000
-2.942 5.095 0.000
0.000 0.000 6.679
Zr Tl Si
3 1 5
Direct
0.000 0.500 0.000
0.500 0.000 0.000
0.500 0.500 0.000
0.000 0.000 0.500
0.000 0.000 0.000
0.333 0.667 0.328
0.333 0.667 0.672
0.667 0.333 0.328
0.667 0.333 0.672
```

***

ZrTlSi: relaxed, GGA-PBE.

Summary:
The value obtained for the spin magnetization is 0.0046 μB per atom. As for the energy above the most stable polymorph in this dataset: 0.1603 eV per atom.

```
ZrTlSi
1.0
1.612 0.931 7.810
-1.612 0.931 7.810
0.000 -1.862 7.810
Zr Tl Si
1 1 1
Direct
0.000 0.000 0.000
0.225 0.225 0.225
0.112 0.112 0.112
```

***

TmUSi: relaxed, GGA-PBE.

Summary:
The value obtained for the spin magnetization is 1.0201 μB per atom. As for the energy above the most stable polymorph in this dataset: 0.0000 eV per atom.

```
TmUSi
1.0
0.000 3.371 3.371
3.371 0.000 3.371
3.371 3.371 0.000
Tm U Si
1 1 1
Direct
0.000 0.000 0.000
0.500 0.500 0.500
0.250 0.250 0.250
```

***

TmSiW: relaxed, GGA-PBE.

Summary:
The value obtained for the spin magnetization is 0.1086 μB per atom.

```
TmSiW
1.0
0.000 3.116 3.116
3.116 0.000 3.116
3.116 3.116 0.000
Tm Si W
1 1 1
Direct
0.000 0.000 0.000
0.250 0.250 0.250
0.500 0.500 0.500
```
└──
Here the text continues:
All of this amasses to a second kind of pandemic, breeding out of the first one. People who are economically and socio-politically “in-between”, like me and my parents will be the most affected.
My parents aren’t going to kill themselves any time soon. They’re resilient, hard-working people who’ve racked up hard knocks in their lives like collectible Jordan’s.
Either way, I say this with very little joy; the line at 311 might end up being just as clogged and busy as the line for 911.
Stay safe everyone. I’m in New York City, the epicenter of the pandemic. I will not be leaving my apartment for the foreseeable future, but I’m doing my best to stay sane, stay productive and stay relaxed.
I hope you all do the same. Check out some of my articles if you have some free time. Take care.